Photoshop :: CS6 Photomerge Panorama - Shot In Landscape Comes Out Portrait
Sep 24, 2012
I have also tried using photomerge in CS5, and the same results occur. I used a stable tripod and made sure that both the camera and the tripod was level.
I have a document with two pages, and each page is two pages wide.
The document needs to be four pages on top of one another, but I don't know how to convert the original. I know how to change landscape/portrait views in Preferences, but the document itself is two pages wide.
if I have a portrait photo and want to change it to a landscape photo. I used resize to change the the dimensions of the photo but the results make the photo a bit distored.
i have a lovely picture that is taken in landscape and i want to change it to portrait so i can print it and hang it. how do i do this with out losing qualtiy in the print.
After installing Elements 12 on the MAC (10.8.5) the menu for Photomerge Panorama is greyed out, so Photomerge Panorama cannot be started. Any other Photomerge function is available and can be used.
Is the panorama one of the missing function on MACs?
Import and Exoirt from the File menu are also greyed out.
Photoshop is opening my landscape shots from my digital camera in portrait format. The thumbnail is landscape and Illustrator and all my other programs open it landscape.
Inserted here: records of crystals:
-- begin --
First-principles (PBE) data for crystalline Ni2TeC at its relaxed geometry, as listed in Alexandria via LeMat-Bulk.

a = 5.9194 Å, b = 5.9194 Å, c = 5.9194 Å
α = 90.00°, β = 90.00°, γ = 90.00°
Closest atoms and distances in Å follow each position.
Element x y z (fractional)
Ni 0.2500 0.2500 0.2500  4 Te 2.56, 4 C 2.56
Ni 0.2500 0.2500 0.7500  4 Te 2.56, 4 C 2.56
Ni 0.2500 0.7500 0.2500  4 Te 2.56, 4 C 2.56
Ni 0.2500 0.7500 0.7500  4 Te 2.56, 4 C 2.56
Ni 0.7500 0.2500 0.2500  4 Te 2.56, 4 C 2.56
Ni 0.7500 0.2500 0.7500  4 Te 2.56, 4 C 2.56
Ni 0.7500 0.7500 0.2500  4 Te 2.56, 4 C 2.56
Ni 0.7500 0.7500 0.7500  4 Te 2.56, 4 C 2.56
Te 0.0000 0.0000 0.0000  8 Ni 2.56
Te 0.0000 0.5000 0.5000  8 Ni 2.56
Te 0.5000 0.0000 0.5000  8 Ni 2.56
Te 0.5000 0.5000 0.0000  8 Ni 2.56
C 0.0000 0.0000 0.5000  8 Ni 2.56
C 0.0000 0.5000 0.0000  8 Ni 2.56
C 0.5000 0.0000 0.0000  8 Ni 2.56
C 0.5000 0.5000 0.5000  8 Ni 2.56

Summary:
- symmetry = Fm-3m, No. 225
- VASP energy (eV/atom) = -4.85
- magnetic moment (Bohr magnetons per cell) = 0.0
- Fermi-level density of states (states/eV/f.u.) = 1.82

---

First-principles (PBE) data for crystalline Ba2GaSiOs at its relaxed geometry, as listed in Alexandria via LeMat-Bulk.

a = 6.2393 Å, b = 6.2393 Å, c = 4.5154 Å
α = 90.00°, β = 90.00°, γ = 90.00°
Closest atoms and distances in Å follow each position.
Element x y z (fractional)
Ba 0.0000 0.5000 0.0000  2 Ga 3.12
Ba 0.5000 0.0000 0.0000  2 Ga 3.12
Ga 0.0000 0.0000 0.0000  2 Si 2.26
Si 0.0000 0.0000 0.5000  2 Ga 2.26
Os 0.5000 0.5000 0.5000  8 Ba 3.85

Summary:
- symmetry = P4/mmm, No. 123
- VASP energy (eV/atom) = -3.74
- magnetic moment (Bohr magnetons per cell) = 2.1
- Fermi-level density of states (states/eV/f.u.) = 7.28

---

First-principles (PBE) data for crystalline ThPa2ZnN5 at its relaxed geometry, as listed in Alexandria via LeMat-Bulk.

a = 7.3270 Å, b = 7.3270 Å, c = 7.3270 Å
α = 126.83°, β = 126.83°, γ = 78.53°
Closest atoms and distances in Å follow each position.
Element x y z (fractional)
Th 0.2500 0.2500 0.0000  10 N 2.78-2.84
Th 0.7500 0.7500 0.0000  10 N 2.78-2.84
Pa 0.1689 0.6689 0.8378  4 N 2.19-2.44
Pa 0.3311 0.1689 0.5000  4 N 2.19-2.44
Pa 0.6689 0.8311 0.5000  4 N 2.19-2.44
Pa 0.8311 0.3311 0.1621  4 N 2.19-2.44
Zn 0.2500 0.7500 0.5000  4 N 1.99
Zn 0.7500 0.2500 0.5000  4 N 1.99
N 0.0000 0.0000 0.0000  4 Pa 2.44
N 0.0273 0.2013 0.5000  1 Zn 1.99, 1 Pa 2.19
N 0.2013 0.7013 0.1740  1 Zn 1.99, 1 Pa 2.19
N 0.2987 0.4727 0.5000  1 Zn 1.99, 1 Pa 2.19
N 0.4727 0.9727 0.1740  1 Zn 1.99, 1 Pa 2.19
N 0.5000 0.5000 0.0000  4 Pa 2.44
N 0.5273 0.0273 0.8260  1 Zn 1.99, 1 Pa 2.19
N 0.7013 0.5273 0.5000  1 Zn 1.99, 1 Pa 2.19
N 0.7987 0.2987 0.8260  1 Zn 1.99, 1 Pa 2.19
N 0.9727 0.7987 0.5000  1 Zn 1.99, 1 Pa 2.19

Summary:
- symmetry = I4/mcm, No. 140
- VASP energy (eV/atom) = -8.94
- magnetic moment (Bohr magnetons per cell) = 0.0
- Fermi-level density of states (states/eV/f.u.) = 4.76

---
-- stop --
I have 5 images I select to make a panorama. Usiing PS CC 64 bit on Windows 7 OS, File/Automate/Photomerge works fine. But when I try to select the photos in LR 5 and Edit in/Merge to Panorama in PS, it opens PS CC and loads the 5 images and opens the Photomerge dialog box as I would expect, but when I click OK it begins the merge process and hangs up and PS stops working. So I can get "photomerge" to work if I choose the images directly from PS, but not when I send the images to PS from LR.
I've never had a problem with this process with CS 5 or CS6.
I have just purchased and installed PSE11. The photomerge options don't appear under File New. I have tried resetting preferences as suggested in the forum with no effect. I have PSE 6 installed on the same computer.
I cannot make the photomerge panorama function work in elements 11. It simplygenerates the standard Window 7 error message and when it can't find a solution the program closes. In previous versions ( 9 and 10) it always worked and never caused a problem.
Attempting to rebuild the preferences file as suggested for a similar problem affecting earlier versions was also done but to no avail. Its a function I use quite frequently so until it is resolved I will keep using version 10.
I just downloaded Elements 11 and the Photomerge Panorama function is not available, even though the other photomerge functions are. How can I fix this?
After being able to complete several Photomerge Group Shot projects before, the program is no longer saving them. It allows me to open all photos (I've tried merging group shots from 2 pictures to 5 pictures in an effort to find the error) and to go through all the motions but when I click 'Done' nothing happens. No error. No lag. One of my open files just sits there untouched.
I read somewhere that I should delete my preferences, but I haven't made any changes. This is the only feature I've ever even used on my new Elements program.
I tried opening the program under my husband's user name (new settings / preferences), but the same thing occurs. It just doesn't save - even when the computer has just been booted up and I'm only trying to merge two photos.
My machine is a Dell Inspiron 530S running WinXP 32-bit SP3 with 2GB RAM. I just clean installed WinXP and all windows updates. The only programs I have installed are Office and PSE10.
I just got Lightroom as a Christmas gift that is incompatible with this computer. If this is a RAM issue...or if I should upgrade to 64-bit...what should my minimum system requirements be to optimally run both Elements and Lightroom?
I have a PC with Windows 7 Pro. I have had Photoshop Elements 9 installed for awhile now but find I am unable to use the photomerge landscape feature anymore. When I click on file, new, the photomerge landscape option is greyed out.
I am trying to figure out a way to automatically crop a photo to say 4x6 INDEPENDENT of whether it is landscape or portrait while running a batch script. This is after I have done all my editing on the file (the first thing being that I turn the portraits the correct way).
I can sort (using windows) the file size and that tells me which are portraits and which are landscapes. I then create two directories, move the files to the appropriate directory and then run the crop script (making sure the horizontal and vertical crop dimensions are set correctly). This is a pain and wanted to see if there is some way to automate it without having to parse the files into two directories to start.
I decided to take a panorama of the beach I was on, and as a general the photo's came out well and all have around 20% overlap, however when I put the photos into Photomerge in Photoshop CC or CS6 it results in this:
As you can see part of the image decides to float above another part and there's even one below the lower segment. The panorama itself is 22 images, but I only used eight to try and find out if the problem was the number of images, it appears it isn't. I've tried both the "auto" and "perspective" options under the Photomerge dialogue, neither works. It should be noted that before it "blends the images", under the layers section, all of the images do line up.
I'm using the images in their RAW format (.NEF), although I did try in the .jpeg as well, neither worked.I'm running Photoshop under a VM as I'm running Ubuntu, although I did try on my Windows 8 laptop as well, again neither had a good result.
elements11 always crashes when starting photomerge panorama. i had the same problem in elements 10. thought in the new version it will be ok. failed. i am using win7 with 16 gb
I would like to create a new panorama in PSE11, but the option to do so seems to be missing. If I choose Enhance -> Photomerge, the Panorama-option is greyed out.
Update: a bit later: All of a sudden it seems to work under Enhange -> Photomerge and then Panorama isn't greyed out anymore.
Host computer is an Intel Macbook Pro, 2.4G Core 2 duo preocessor, running OS X 10.6.8 (Snow Leopard) with a 128GB solid state drive and 8GB of 1067 Mhz DDR3 memory installed.
It happened more than a few times while attempting to merge six Tiff files, each with a file size of almost 12MB. The result was the same even after trying the photomerge with just three of the almost 12MB Tiff files.
I checked preferences to determine what the program's system memory requirements were, but discovered that I could not allocate more than 3GB of memory to PSE; it is recognizing not the 8GB which are installed but only 3GB.
I wasn't able to detect how to include a text file attachment here. Hang reports were saved and can be submitted.
1) resize a Portrait orientation image to a height of 800 pixels (constraining proportions) and then “Save for Web” to a jpg with a quality of 24% 2) resize a Landscape orientation image to a width of 800 pixels (constraining proportions) and then “Save for Web” to a jpg with a quality of 24%
How can I create one Action that will work for both Landscape and Portrait images (setting the longest dimension to 800 pixels keeping the other dimension in proportion)?
I am using Photoshop CS5 v12.0.4x32 and Windows XP Pro SP3.
I make regular use of a Flash image gallery that requires me to provide small square 50 x 50px thumbnails whatever the shape of the original images. The only solution I have found so far is to first manually sort my original images into landscape and portrait folders and then run a different action on each folder to create the thumbnails.
Is there any way to design an action that would work equally well on both landscape and portrait images?
When i shoot " portrait " mode photos with my Nikon D70, PS shows them " upright", although the windows explorer shows them " landscape style ". I guess that PS reads te exif info from the jpg's, and uses this to show me the photos in a usable way. I want PS to show me the photos just like the windows explorer does, so i know wich one to " turn upright ".
It used to be that photo merge would take the top image in a stack of files and make it the left side of a panorama. How do I do this in PS6? It seems to want to make the middle of the stack the left end of the panorama.
Our company is setting up the Publish command to utilize the different title blocks within the Layout Tabs so we can create one file PDF(Multisheet). Our title blocks vary from sometimes been all portrait to on other occasions been a mix of both portrait and landscape layouts.
The issue that has arisen is the following example:
When creating the PDF using the publish command it doesn't not recognise the Landscape format therefore is not creating the Multisheet function or creating this function but the rotation of Layout 2 in the example is portrait. Where as when they are all Portrait sheets it creates 1 file which is what we are after.
I have a 5" x 7" (landscape style) image that I want to crop in Elements 9. I'm using the Guided mode on the Edit tab of the program. When I use the pulldown menu and I see the 5 x 7 crop box size that I want to use, I click it. But the crop window that appears, is 7 x 5 (portrait mode) rather than 5 x 7 landscape mode. I can work around this by changing my crop box size selection on the pulldown menu to No Restriction, but I'm then just guessing that I'll get precisely the 5 x 7 ratio that I want. How can I change the crop box from portrait style to landscape style so that I can crop my image 5 x 7 rather than 7 x 5?